[Listing]
+++
C23H27FN2O3 | the ωB97M-V functional and the def2-TZVPD basis

Summary:
HOMO level, eV: -8.33
Energy relative to the best compared isomer or geometry (same formula, charge and spin), kJ/mol: 237.14
2S+1: 1
HOMO-LUMO gap, eV: 8.97
Calculated total energy, a.u.: -1327.7003

Geometry as XYZ:
```
56
C23H27FN2O3, DFT the ωB97M-V functional and the def2-TZVPD basis
C -0.675 -3.284 -2.356
O -0.630 -2.665 -1.094
C -1.689 -1.893 -0.694
C -2.840 -1.733 -1.456
C -3.903 -0.964 -1.019
C -3.839 -0.334 0.217
C -4.947 0.491 0.779
O -5.156 0.588 1.972
N -5.698 1.136 -0.150
C -6.791 1.980 0.198
C -7.967 2.090 -0.723
C -7.025 3.250 -0.561
C -2.695 -0.495 0.987
C -1.608 -1.247 0.558
O -0.586 -1.325 1.451
C 0.757 -1.543 1.041
C 1.263 -0.427 0.126
C 2.752 -0.615 -0.140
N 3.492 -0.596 1.108
C 4.925 -0.581 0.877
C 5.366 0.744 0.317
C 4.781 1.929 0.747
C 5.190 3.151 0.244
C 6.202 3.213 -0.700
C 6.803 2.049 -1.144
C 6.376 0.838 -0.631
F 6.972 -0.293 -1.078
C 3.077 -1.691 1.962
C 1.601 -1.548 2.313
H 0.275 -3.808 -2.456
H -0.768 -2.551 -3.164
H -1.493 -4.008 -2.422
H -2.924 -2.231 -2.409
H -4.787 -0.903 -1.636
H -5.445 1.084 -1.124
H -6.952 1.963 1.268
H -8.953 2.160 -0.293
H -7.936 1.542 -1.653
H -7.362 4.119 -0.018
H -6.361 3.481 -1.381
H -2.641 -0.025 1.956
H 0.851 -2.510 0.533
H 0.717 -0.430 -0.818
H 1.099 0.532 0.620
H 3.118 0.200 -0.769
H 2.909 -1.566 -0.684
H 5.247 -1.397 0.206
H 5.424 -0.729 1.841
H 3.991 1.867 1.479
H 4.721 4.059 0.591
H 6.524 4.165 -1.093
H 7.592 2.064 -1.879
H 3.673 -1.659 2.878
H 3.247 -2.671 1.477
H 1.286 -2.365 2.963
H 1.439 -0.607 2.839
```


C23H27HgN5OSSi | the ωB97M-V functional and the def2-TZVPD basis

Summary:
HOMO level (alpha / beta), eV: -2.06 / -4.38
Energy relative to the best compared isomer or geometry (same formula, charge and spin), kJ/mol: 0.70
Total charge: -1
2S+1: 2
HOMO-LUMO gap (alpha / beta), eV: 5.02 / 7.34
Calculated total energy, a.u.: -2082.8687

Geometry as XYZ:
```
59
C23H27HgN5OSSi, DFT the ωB97M-V functional and the def2-TZVPD basis
Hg -1.340 0.760 -0.131
C 0.725 3.596 -3.111
C 0.399 2.501 -2.132
N -0.848 2.279 -1.719
N -1.858 3.018 -2.268
C -3.052 2.566 -2.110
N -4.073 3.306 -2.718
S -3.597 1.127 -1.271
C 1.433 1.667 -1.639
C 2.809 1.872 -1.960
C 3.766 1.061 -1.420
C 3.394 0.019 -0.543
C 2.044 -0.137 -0.293
N 1.091 0.621 -0.815
H -0.185 4.115 -3.396
H 1.196 3.191 -4.011
H 1.420 4.318 -2.674
H -3.781 4.254 -2.910
H -4.947 3.246 -2.219
H 3.091 2.678 -2.622
H 4.810 1.223 -1.662
H 4.124 -0.640 -0.093
H 1.695 -0.925 0.371
C 0.298 2.436 2.129
Si -0.116 0.791 2.925
C 1.484 0.028 3.557
C -1.206 1.208 4.413
N -0.881 -0.211 1.751
C -1.150 -1.544 1.925
C -1.173 -2.163 3.196
C -1.427 -3.510 3.373
C -1.701 -4.331 2.288
C -1.703 -3.761 1.024
C -1.419 -2.421 0.850
O -1.476 -1.887 -0.432
C -0.528 -2.217 -1.368
C -0.716 -1.640 -2.620
C 0.220 -1.855 -3.613
C 1.339 -2.646 -3.373
C 1.507 -3.219 -2.124
C 0.578 -3.012 -1.111
H 0.809 3.075 2.854
H -0.601 2.964 1.801
H 0.952 2.311 1.264
H 1.958 0.667 4.306
H 2.180 -0.090 2.723
H 1.324 -0.955 4.002
H -0.739 1.998 5.008
H -1.388 0.360 5.074
H -2.177 1.574 4.071
H -0.993 -1.547 4.065
H -1.426 -3.921 4.376
H -1.916 -5.383 2.419
H -1.918 -4.356 0.144
H -1.579 -1.003 -2.773
H 0.082 -1.386 -4.579
H 2.076 -2.802 -4.150
H 2.381 -3.824 -1.919
H 0.727 -3.443 -0.131
```


C23H27N3O3S | the ωB97M-V functional and the def2-TZVPD basis

Summary:
HOMO level, eV: -7.99
Energy relative to the best compared isomer or geometry (same formula, charge and spin), kJ/mol: 175.81
2S+1: 1
+++
[What to do]
Could you start at the top of the data further up and set down each line, ending with the one that has "-2.177 1.574"?
[Result]
C23H27FN2O3 | the ωB97M-V functional and the def2-TZVPD basis

Summary:
HOMO level, eV: -8.33
Energy relative to the best compared isomer or geometry (same formula, charge and spin), kJ/mol: 237.14
2S+1: 1
HOMO-LUMO gap, eV: 8.97
Calculated total energy, a.u.: -1327.7003

Geometry as XYZ:
```
56
C23H27FN2O3, DFT the ωB97M-V functional and the def2-TZVPD basis
C -0.675 -3.284 -2.356
O -0.630 -2.665 -1.094
C -1.689 -1.893 -0.694
C -2.840 -1.733 -1.456
C -3.903 -0.964 -1.019
C -3.839 -0.334 0.217
C -4.947 0.491 0.779
O -5.156 0.588 1.972
N -5.698 1.136 -0.150
C -6.791 1.980 0.198
C -7.967 2.090 -0.723
C -7.025 3.250 -0.561
C -2.695 -0.495 0.987
C -1.608 -1.247 0.558
O -0.586 -1.325 1.451
C 0.757 -1.543 1.041
C 1.263 -0.427 0.126
C 2.752 -0.615 -0.140
N 3.492 -0.596 1.108
C 4.925 -0.581 0.877
C 5.366 0.744 0.317
C 4.781 1.929 0.747
C 5.190 3.151 0.244
C 6.202 3.213 -0.700
C 6.803 2.049 -1.144
C 6.376 0.838 -0.631
F 6.972 -0.293 -1.078
C 3.077 -1.691 1.962
C 1.601 -1.548 2.313
H 0.275 -3.808 -2.456
H -0.768 -2.551 -3.164
H -1.493 -4.008 -2.422
H -2.924 -2.231 -2.409
H -4.787 -0.903 -1.636
H -5.445 1.084 -1.124
H -6.952 1.963 1.268
H -8.953 2.160 -0.293
H -7.936 1.542 -1.653
H -7.362 4.119 -0.018
H -6.361 3.481 -1.381
H -2.641 -0.025 1.956
H 0.851 -2.510 0.533
H 0.717 -0.430 -0.818
H 1.099 0.532 0.620
H 3.118 0.200 -0.769
H 2.909 -1.566 -0.684
H 5.247 -1.397 0.206
H 5.424 -0.729 1.841
H 3.991 1.867 1.479
H 4.721 4.059 0.591
H 6.524 4.165 -1.093
H 7.592 2.064 -1.879
H 3.673 -1.659 2.878
H 3.247 -2.671 1.477
H 1.286 -2.365 2.963
H 1.439 -0.607 2.839
```


C23H27HgN5OSSi | the ωB97M-V functional and the def2-TZVPD basis

Summary:
HOMO level (alpha / beta), eV: -2.06 / -4.38
Energy relative to the best compared isomer or geometry (same formula, charge and spin), kJ/mol: 0.70
Total charge: -1
2S+1: 2
HOMO-LUMO gap (alpha / beta), eV: 5.02 / 7.34
Calculated total energy, a.u.: -2082.8687

Geometry as XYZ:
```
59
C23H27HgN5OSSi, DFT the ωB97M-V functional and the def2-TZVPD basis
Hg -1.340 0.760 -0.131
C 0.725 3.596 -3.111
C 0.399 2.501 -2.132
N -0.848 2.279 -1.719
N -1.858 3.018 -2.268
C -3.052 2.566 -2.110
N -4.073 3.306 -2.718
S -3.597 1.127 -1.271
C 1.433 1.667 -1.639
C 2.809 1.872 -1.960
C 3.766 1.061 -1.420
C 3.394 0.019 -0.543
C 2.044 -0.137 -0.293
N 1.091 0.621 -0.815
H -0.185 4.115 -3.396
H 1.196 3.191 -4.011
H 1.420 4.318 -2.674
H -3.781 4.254 -2.910
H -4.947 3.246 -2.219
H 3.091 2.678 -2.622
H 4.810 1.223 -1.662
H 4.124 -0.640 -0.093
H 1.695 -0.925 0.371
C 0.298 2.436 2.129
Si -0.116 0.791 2.925
C 1.484 0.028 3.557
C -1.206 1.208 4.413
N -0.881 -0.211 1.751
C -1.150 -1.544 1.925
C -1.173 -2.163 3.196
C -1.427 -3.510 3.373
C -1.701 -4.331 2.288
C -1.703 -3.761 1.024
C -1.419 -2.421 0.850
O -1.476 -1.887 -0.432
C -0.528 -2.217 -1.368
C -0.716 -1.640 -2.620
C 0.220 -1.855 -3.613
C 1.339 -2.646 -3.373
C 1.507 -3.219 -2.124
C 0.578 -3.012 -1.111
H 0.809 3.075 2.854
H -0.601 2.964 1.801
H 0.952 2.311 1.264
H 1.958 0.667 4.306
H 2.180 -0.090 2.723
H 1.324 -0.955 4.002
H -0.739 1.998 5.008
H -1.388 0.360 5.074
H -2.177 1.574 4.071